History of the global Earth models. Free oscillations of the Earth - theoretical introduction. PREM. Mineral physics under high pressures and temperatures. Seismic tomography - global models. Three-dimensional density anomalies and mantle convection.
Last update: T_KG (16.05.2001)
The lecture introduces into basic methodological approaches resulting in description of global physical properties of the Earth. Last update: T_KG (26.03.2008)
Zkouška je ústní, požadavky odpovídají sylabu v rozsahu prezentovaném na přednášce. Last update: Matyska Ctirad, doc. RNDr., DrSc. (11.10.2017)
Last update: Zakouřil Pavel, RNDr., Ph.D. (05.08.2002)
## Someone pasted quantum chemistry results at this point
____________
# 1
This record from the OMol25 dataset describes a cluster of 8 separate species, C57H132N8O13 in total. The level of theory is ωB97M-V/def2-TZVPD.

XYZ file:
```
210
Properties=species:S:1:pos:R:3:lowdin_charge:R:1
C -0.255 1.102 1.147 -0.02
C 0.924 1.005 0.107 -0.46
C 2.329 0.822 0.753 -0.15
C 2.635 -0.635 1.180 -0.14
C 2.383 -1.625 -0.047 -0.13
C 1.037 -1.487 -0.759 -0.50
N 0.734 -0.055 -0.922 -0.14
O -0.301 0.171 -1.804 -0.01
C 1.152 -2.139 -2.183 -0.04
C -0.071 -2.239 -0.039 -0.03
C 1.072 2.392 -0.567 -0.06
H -0.129 0.594 2.103 0.07
H -1.096 0.687 0.592 0.07
H -0.534 2.124 1.403 0.07
H 3.145 1.357 0.268 0.11
H 2.160 1.336 1.699 0.11
H 1.778 -0.847 1.818 0.09
H 3.567 -0.891 1.684 0.11
H 2.541 -2.588 0.439 0.11
H 3.241 -1.551 -0.716 0.11
H 0.316 -2.071 -2.879 0.07
H 1.916 -1.749 -2.854 0.07
H 1.467 -3.177 -2.078 0.08
H -0.908 -2.395 -0.719 0.08
H 0.279 -3.250 0.167 0.08
H -0.446 -1.671 0.813 0.08
H 0.170 2.724 -1.081 0.08
H 1.880 2.436 -1.297 0.08
H 1.332 3.152 0.171 0.08
H 0.132 0.447 -2.616 0.11
C -6.984 -5.228 -12.393 -0.05
C -5.785 -4.929 -11.475 -0.46
C -6.486 -4.794 -10.062 -0.14
C -5.490 -4.746 -8.908 -0.20
C -4.750 -6.087 -8.879 -0.13
C -3.992 -6.354 -10.242 -0.46
N -4.853 -6.111 -11.419 -0.12
O -4.250 -6.394 -12.657 -0.01
C -2.701 -5.437 -10.254 -0.03
C -3.482 -7.804 -10.257 -0.06
C -5.078 -3.609 -11.898 -0.03
H -7.875 -4.693 -12.063 0.08
H -7.204 -6.289 -12.504 0.09
H -6.835 -4.787 -13.379 0.07
H -6.838 -3.767 -9.967 0.12
H -7.198 -5.580 -9.810 0.12
H -5.940 -4.555 -7.934 0.11
H -4.809 -3.918 -9.108 0.10
H -5.338 -6.973 -8.640 0.11
H -4.000 -6.084 -8.088 0.11
H -1.728 -5.929 -10.231 0.07
H -2.713 -4.740 -11.092 0.07
H -2.627 -4.859 -9.334 0.07
H -4.356 -8.453 -10.209 0.08
H -2.978 -8.088 -11.181 0.08
H -2.811 -8.078 -9.443 0.08
H -5.857 -2.901 -12.177 0.08
H -4.552 -3.776 -12.838 0.08
H -4.505 -3.080 -11.136 0.07
H -4.717 -7.104 -13.102 0.10
C -8.945 6.879 2.521 -0.03
C -8.615 8.294 1.913 -0.50
C -8.231 9.215 3.120 -0.12
C -7.349 10.449 2.720 -0.18
C -6.118 10.153 1.852 -0.13
C -6.497 9.126 0.682 -0.41
N -7.427 8.031 1.119 -0.12
O -7.629 7.087 0.092 -0.02
C -6.958 10.008 -0.597 -0.03
C -5.144 8.494 0.259 -0.06
C -9.746 8.896 1.135 -0.03
H -9.713 6.935 3.292 0.08
H -8.079 6.419 2.998 0.08
H -9.201 6.149 1.754 0.07
H -9.088 9.717 3.569 0.11
H -7.790 8.714 3.981 0.11
H -7.054 10.951 3.642 0.11
H -8.069 11.053 2.168 0.09
H -5.284 9.858 2.489 0.11
H -5.755 11.117 1.494 0.11
H -7.432 9.344 -1.320 0.07
H -7.676 10.805 -0.404 0.06
H -6.188 10.566 -1.130 0.07
H -4.406 9.171 -0.171 0.09
H -4.832 7.833 1.067 0.08
H -5.374 7.792 -0.543 0.07
H -9.651 9.962 0.932 0.08
H -10.672 8.758 1.694 0.09
H -9.954 8.399 0.187 0.09
H -6.906 6.474 0.248 0.10
C 0.334 2.071 9.084 -0.12
O 0.933 0.790 9.083 -0.21
C 1.874 0.671 10.223 -0.18
C 2.682 -0.633 10.138 -0.20
N 1.834 -1.839 10.242 -0.07
C 2.378 -3.078 9.718 -0.21
C 3.391 -3.652 10.714 -0.21
O 3.769 -4.995 10.386 -0.19
C 4.534 -5.580 11.363 -0.15
H -0.308 2.067 9.965 0.09
H -0.231 2.147 8.155 0.09
____________
Lecture Last update: T_KG (11.04.2008)
Entry 1:
{
  "formula": "C2H27O12",
  "method": "ωB97M-V/def2-TZVPD",
  "lumo_energy_ev": 1.915,
  "largest_force_ev_per_a": 6.7,
  "charge": -1,
  "relative_energy_ev": 6.612,
  "gap_ev": 6.20,
  "symbols": ["O", "O", "C", "O", "H", "H", "O", "H", "H", "H", "O", "H", "H", "O", "H", "H", "H", "O", "H", "H", "H", "O", "H", "H", "H", "H", "O", "H", "H", "C", "H", "O", "H", "H", "O", "H", "H", "H", "H", "H", "O"],
  "xyz": [[-2.7674, -1.0223, -0.4233], [2.8506, 0.7357, -2.4143], [0.5046, 0.1347, -0.0613], [0.7456, 3.4567, -0.8713], [-2.7534, 2.4377, -0.9133], [-0.7074, -3.1793, -1.3633], [-2.4164, 3.1897, -1.3213], [-2.9174, -0.2203, -0.0523], [1.7276, -2.2783, 0.0097], [2.1026, -0.1063, 1.2847], [-1.7424, -1.5153, 2.4447], [-3.6504, -1.3733, -0.3503], [0.5166, -0.7693, 0.6847], [0.9766, 2.0147, 2.3977], [-0.5134, -2.1703, -2.6063], [3.3556, -0.5023, 2.1667], [0.0766, 2.3697, 2.4167], [2.2616, -3.2483, 1.8407], [2.2276, -1.6173, 1.9857], [0.4776, -0.3583, -0.9053], [-1.3944, -2.3113, 2.0317], [-3.0274, 1.2907, 1.1217], [-3.8074, 1.7677, 0.8157], [1.0566, 3.7787, -0.1233], [-3.3574, 1.1837, 2.0617], [1.0126, 2.5767, -0.9193], [-1.4204, 0.4737, -2.5453], [1.1506, 1.6887, 1.4997], [2.4146, 0.4597, -1.6673], [2.3826, -2.9833, 0.4547], [-0.9884, 1.3557, -2.7073], [2.4286, -0.6603, 2.1767], [-0.4894, 0.7827, -0.1273], [-1.1794, 0.1377, -1.5623], [1.6546, 0.9057, 0.0517], [-1.5134, 3.1707, -1.0623], [2.1116, 0.9417, -2.9323], [3.2966, -2.4913, 0.1677], [2.1196, -3.8153, 0.0507], [-1.9724, -1.1173, 1.5967], [-0.8314, -3.1143, -2.3323]],
  "mulliken_charge": [-0.42, -0.67, -0.01, -0.65, 0.30, 0.30, -0.64, 0.31, -0.04, 0.42, -0.67, 0.23, 0.05, -0.74, 0.34, 0.42, 0.27, -0.90, 0.35, 0.62, 0.31, -0.59, 0.30, 0.27, 0.26, 0.37, -0.65, 0.41, 0.27, -0.67, 0.36, -0.35, -0.19, 0.16, -1.26, 0.36, 0.32, 0.24, 0.58, 0.30, -0.65]
}

***

Entry 2:
{
  "formula": "C4H8O4P",
  "method": "ωB97M-V/def2-TZVPD",
  "lumo_energy_ev": 3.513,
  "largest_force_ev_per_a": 4.2,
  "charge": -1,
  "relative_energy_ev": 0.000,
  "gap_ev": 8.21,
  "symbols": ["C", "H", "O", "H", "H", "O", "H", "H", "O", "P", "H", "H", "H", "C", "C", "C", "O"],
  "xyz": [[-0.3249, 0.6377, -1.6007], [1.2225, -1.0460, 3.5656], [2.7839, 0.7790, 2.3670], [0.7250, 0.4653, -1.7750], [-1.3434, 0.8462, -3.2819], [1.3887, 0.7837, 0.6692], [0.3474, -1.1251, 1.8071], [0.0128, 0.0284, 2.9954], [-0.2171, -1.8377, -0.4060], [-0.6431, -0.4451, -0.1813], [-0.4537, 1.7068, -1.4368], [-2.1908, -0.2011, -2.2189], [-0.9879, -0.6582, -3.1934], [1.7541, 0.4312, 1.8438], [0.8308, -0.5091, 2.6807], [-1.2346, 0.1322, -2.5904], [-1.6698, 0.0118, 0.7554]],
  "mulliken_charge": [-0.12, 0.28, -0.69, 0.28, 0.47, -0.65, 0.07, 0.26, -0.67, 0.87, 0.37, 0.35, 0.45, 0.66, -0.72, -1.55, -0.64]
}

***

Entry 3:
{
  "formula": "C26H52N5O9PSTi",
  "method": "ωB97M-V/def2-TZVPD",
  "lumo_energy_ev": -6.810,
  "largest_force_ev_per_a": 0.6,
  "charge": 2,
  "relative_energy_ev": 0.720,
  "gap_ev": 6.81,
Models of the Earth's internal constitution - historical outline
18th-19th centuries - density models based on geodetic observations; seismology in the first half of the 20th century - wave phases, standard hodochrons, interfaces (CMB, Moho, inner core), Jeffreys-Bullen tables, 20°-discontinuity; Bullen's velocity and density models - Adams-Williamson's equation; continental drift and plate tectonics; computer era in seismology (surface waves, free oscillations, seismic tomography); mineral physics and geodynamical modelling. Free oscillations of the Earth Historical remarks; basic axioms in continuum mechanics, the Cauchy and the Piola-Kirchhoff stress tensors and momentum equations, boundary conditions; linearized theory - relation between the Cauchy and the Piola-Kirchhoff stress tensors in a prestressed body and the momentum equation for a general model of the Earth; SNREI - toroidal and spheroidal oscillations; mode splitting due to asphericities. PREM Data, anisotropy, resulting model. Postglacial rebound Timescales of slow processes in the Earth - comparison of momentum equations and rheological behaviour; viscoelasticity and the Laplace transform; Love numbers and normal modes; relaxation times of basic modes; viscosity profiles of the mantle. Mineral physics Mineralogical composition of the Earth's interior; Clapeyron's equation; shock waves experiments - Hugoniot's relations; characteristics of static experiments; phase transitions in the mantle in olivine and pyroxene-garnet groups and their relevance to 440km and 670km interfaces; state of the core - melting of iron. Global seismic tomography Kinematic tomography - linearization; "local" and "global" parametrizations by boxes and/or spherical harmonics; minimizations of the misfit functional - overdetermined and underdetermined problems; global results for the mantle, D" (CMB) and the core; fate of lithospheric slabs and the lower mantle superplumes. Remarks on 3-D geodynamical modelling Body forces - problems with the conversion of tomographic models into density anomalies; non-uniqueness and instability of the gravity inversion, couplings - lateral variations and nonlinearity of the rheology. Literature:
Last update: T_KG (07.05.2002)